- - -
Density functional theory data (ωB97M-V/def2-TZVPD) for an isolated molecule of C3H7N3O2 in a non-equilibrium geometry.

Values from the calculation:
HOMO   -9.30 eV
Orbital gap   9.62 eV
SMILES   [H]/N=C(/COC=O)NN
LUMO energy   0.32 eV
Energy above the lowest of the compared OMol25 structures with the same formula, charge and spin   160.7 kcal per mole

Structure (ORCA input):
```
! RIJCOSX wB97M-V def2-TZVPD def2/J DEFGRID3
* xyz 0 1
O 0.7043 1.4279 -0.6225
O -1.0243 0.3380 -1.6084
N -1.6362 -1.3427 0.8570
N 1.9200 -0.7954 0.4536
N -0.3467 -1.0526 1.4263
C 0.1241 1.0349 0.5625
C 0.0412 1.0339 -1.6224
C 0.6471 -0.4370 0.4945
H -1.8972 -1.3614 -0.3215
H -2.1998 -0.5938 1.0921
H 0.3574 1.7629 1.4231
H -1.1046 0.7508 0.4336
H 2.2216 -1.6579 0.4952
H 0.5948 1.4239 -2.4657
H 0.1534 -1.9070 1.4238
*
```

---

Density functional theory data (ωB97M-V/def2-TZVPD) for a cluster of 3 separate species, C34H49BrClN6O6PS in total in a non-equilibrium geometry.

Values from the calculation:
HOMO   -8.35 eV
Orbital gap   7.98 eV
SMILES   CCCCCCCCc1cc(-c2cccnc2)c(CC)c2c1N(Br)c1cc(CCO)c(P(=O)(O)O)c(CCCCl)c1S2.NC(N)=O.NC(N)=O
LUMO energy   -0.37 eV

Structure (ORCA input):
```
! RIJCOSX wB97M-V def2-TZVPD def2/J DEFGRID3
* xyz 0 1
Br 1.7502 0.5646 -1.4619
Cl -1.2752 3.9103 5.7886
S 0.1290 1.0242 2.0508
P -2.8969 5.4017 0.3779
O -3.9493 5.6790 -0.5956
O 1.6993 2.4126 -5.5919
O -3.6399 5.1697 1.8149
O -1.8978 6.6447 0.5753
O -0.2319 -1.2630 -4.7564
O -4.8920 4.0590 -3.1330
N -0.0263 0.2317 -0.9040
N 1.1537 4.2074 -4.3219
N 0.3743 -5.9038 4.1601
N -2.1970 -1.3892 -5.8836
N -0.7068 0.3167 -6.3111
N 0.7958 4.2353 -6.5954
C 0.4262 -4.9117 3.2839
C -0.0877 -0.6466 1.4331
C -0.6896 1.9652 0.7690
C 4.7549 -2.2463 0.8613
C -1.9030 3.3623 -1.2847
C -0.4433 -3.1735 0.5263
C -0.8035 -6.0641 4.7569
C 1.2463 3.5441 -5.5074
C -1.8764 -5.2402 4.4600
C -2.2044 2.7682 3.4602
C -2.5011 4.0297 -2.5212
C -1.4971 2.4339 4.7762
C -3.7280 3.2480 -3.0672
C -0.1319 -0.8325 0.0522
C 5.0724 -0.8688 2.9440
C -0.5901 -4.0575 2.8933
C 1.3862 -1.4498 4.2689
C -0.9905 -0.8052 -5.5952
C 4.9247 -2.3213 2.4064
C -1.3150 3.6361 2.5139
C -0.1361 -1.3743 3.8517
C -0.2964 -2.1600 -0.4028
C -0.2173 -1.6618 2.3639
C -1.8383 -4.2281 3.5188
C 1.0461 -2.9596 -2.4729
C -0.6495 1.4466 -0.5103
C 3.8527 -3.3798 0.2687
C -0.3228 -2.4923 -1.8834
C 1.9696 -3.7277 -1.4787
C -1.9828 3.8656 0.0265
C -0.4132 -2.9646 1.8886
C -1.3434 3.1603 1.0618
C 2.9478 -2.7510 -0.8030
C -1.2469 2.1791 -1.5179
H 3.2580 -3.8498 1.0647
H -0.4694 -0.3621 4.1042
H 0.8285 -3.6140 -3.3274
H 0.1759 0.7793 -6.1269
H -4.1338 4.3466 1.6770
H -0.2812 3.5297 2.8868
H -3.8868 2.3371 -2.4673
H 4.8675 -0.7955 4.0194
H -0.9958 6.2894 0.6172
H -2.4380 -2.2187 -5.3741
H 5.8551 -2.8667 2.6035
H 1.6364 -2.1360 -2.8900
H -2.8107 -5.4036 5.0024
H 4.3694 -0.1854 2.4460
H -0.7106 -2.0851 4.4466
H 2.5870 -4.4006 -2.1003
H 3.5373 -2.2543 -1.5882
H -1.3227 0.7005 -7.0022
H 1.7714 -0.4839 4.6116
H 0.7863 5.1355 -4.2301
H 2.3607 -1.9699 -0.2974
H 4.0411 -2.7866 2.8561
H -1.5390 4.7006 2.6192
H -1.1977 1.7929 -2.5369
H -1.7246 3.9399 -3.3004
H 1.4000 -4.7450 2.8059
H -0.5806 -4.1902 0.1594
H -2.0811 1.7162 5.3644
H 6.0842 -0.5268 2.6880
H -0.9264 -6.8387 5.5138
H 0.8519 3.7760 -7.4857
H 4.5116 -4.1383 -0.1832
H -5.6387 3.5563 -2.7967
H -1.0924 -3.2454 -2.0967
H -0.5166 1.9781 4.6120
H 4.2017 -1.3130 0.6612
H -0.6413 -1.5800 -2.4003
H 0.4206 5.1635 -6.5492
H 1.4342 -4.3715 -0.7718
H 2.0001 -1.8231 3.4413
H -3.1459 3.2669 3.7152
H -2.8375 -1.0340 -6.5670
H -2.6967 -3.6070 3.2808
H 5.7031 -2.1463 0.3180
H -3.5205 2.8798 -4.0877
H -2.3581 1.8154 2.9340
H 1.4770 3.7261 -3.5010
H 1.4731 -2.1792 5.0846
H -2.6937 5.0974 -2.4067
*
```

* * * * *

DFT (ωB97M-V/def2-TZVPD) results for 15 unconnected molecules or ions with the total composition C60H141N7O31.

Geometry as XYZ:
```
239
Properties=species:S:1:pos:R:3:lowdin_charge:R:1
C -1.22 -26.98 -19.65 -0.0322
C -2.42 -27.71 -19.03 -0.4744
C -2.76 -28.95 -19.82 -0.2395
O -3.22 -28.76 -21.13 -0.1851
- - -

Give back the entries further above from the line with "0.1241 1.0349" to the end without additions.

C 0.1241 1.0349 0.5625
C 0.0412 1.0339 -1.6224
C 0.6471 -0.4370 0.4945
H -1.8972 -1.3614 -0.3215
H -2.1998 -0.5938 1.0921
H 0.3574 1.7629 1.4231
H -1.1046 0.7508 0.4336
H 2.2216 -1.6579 0.4952
H 0.5948 1.4239 -2.4657
H 0.1534 -1.9070 1.4238
*
```

---

Density functional theory data (ωB97M-V/def2-TZVPD) for a cluster of 3 separate species, C34H49BrClN6O6PS in total in a non-equilibrium geometry.

Values from the calculation:
HOMO   -8.35 eV
Orbital gap   7.98 eV
SMILES   CCCCCCCCc1cc(-c2cccnc2)c(CC)c2c1N(Br)c1cc(CCO)c(P(=O)(O)O)c(CCCCl)c1S2.NC(N)=O.NC(N)=O
LUMO energy   -0.37 eV

Structure (ORCA input):
```
! RIJCOSX wB97M-V def2-TZVPD def2/J DEFGRID3
* xyz 0 1
Br 1.7502 0.5646 -1.4619
Cl -1.2752 3.9103 5.7886
S 0.1290 1.0242 2.0508
P -2.8969 5.4017 0.3779
O -3.9493 5.6790 -0.5956
O 1.6993 2.4126 -5.5919
O -3.6399 5.1697 1.8149
O -1.8978 6.6447 0.5753
O -0.2319 -1.2630 -4.7564
O -4.8920 4.0590 -3.1330
N -0.0263 0.2317 -0.9040
N 1.1537 4.2074 -4.3219
N 0.3743 -5.9038 4.1601
N -2.1970 -1.3892 -5.8836
N -0.7068 0.3167 -6.3111
N 0.7958 4.2353 -6.5954
C 0.4262 -4.9117 3.2839
C -0.0877 -0.6466 1.4331
C -0.6896 1.9652 0.7690
C 4.7549 -2.2463 0.8613
C -1.9030 3.3623 -1.2847
C -0.4433 -3.1735 0.5263
C -0.8035 -6.0641 4.7569
C 1.2463 3.5441 -5.5074
C -1.8764 -5.2402 4.4600
C -2.2044 2.7682 3.4602
C -2.5011 4.0297 -2.5212
C -1.4971 2.4339 4.7762
C -3.7280 3.2480 -3.0672
C -0.1319 -0.8325 0.0522
C 5.0724 -0.8688 2.9440
C -0.5901 -4.0575 2.8933
C 1.3862 -1.4498 4.2689
C -0.9905 -0.8052 -5.5952
C 4.9247 -2.3213 2.4064
C -1.3150 3.6361 2.5139
C -0.1361 -1.3743 3.8517
C -0.2964 -2.1600 -0.4028
C -0.2173 -1.6618 2.3639
C -1.8383 -4.2281 3.5188
C 1.0461 -2.9596 -2.4729
C -0.6495 1.4466 -0.5103
C 3.8527 -3.3798 0.2687
C -0.3228 -2.4923 -1.8834
C 1.9696 -3.7277 -1.4787
C -1.9828 3.8656 0.0265
C -0.4132 -2.9646 1.8886
C -1.3434 3.1603 1.0618
C 2.9478 -2.7510 -0.8030
C -1.2469 2.1791 -1.5179
H 3.2580 -3.8498 1.0647
H -0.4694 -0.3621 4.1042
H 0.8285 -3.6140 -3.3274
H 0.1759 0.7793 -6.1269
H -4.1338 4.3466 1.6770
H -0.2812 3.5297 2.8868
H -3.8868 2.3371 -2.4673
H 4.8675 -0.7955 4.0194
H -0.9958 6.2894 0.6172
H -2.4380 -2.2187 -5.3741
H 5.8551 -2.8667 2.6035
H 1.6364 -2.1360 -2.8900
H -2.8107 -5.4036 5.0024
H 4.3694 -0.1854 2.4460
H -0.7106 -2.0851 4.4466
H 2.5870 -4.4006 -2.1003
H 3.5373 -2.2543 -1.5882
H -1.3227 0.7005 -7.0022
H 1.7714 -0.4839 4.6116
H 0.7863 5.1355 -4.2301
H 2.3607 -1.9699 -0.2974
H 4.0411 -2.7866 2.8561
H -1.5390 4.7006 2.6192
H -1.1977 1.7929 -2.5369
H -1.7246 3.9399 -3.3004
H 1.4000 -4.7450 2.8059
H -0.5806 -4.1902 0.1594
H -2.0811 1.7162 5.3644
H 6.0842 -0.5268 2.6880
H -0.9264 -6.8387 5.5138
H 0.8519 3.7760 -7.4857
H 4.5116 -4.1383 -0.1832
H -5.6387 3.5563 -2.7967
H -1.0924 -3.2454 -2.0967
H -0.5166 1.9781 4.6120
H 4.2017 -1.3130 0.6612
H -0.6413 -1.5800 -2.4003
H 0.4206 5.1635 -6.5492
H 1.4342 -4.3715 -0.7718
H 2.0001 -1.8231 3.4413
H -3.1459 3.2669 3.7152
H -2.8375 -1.0340 -6.5670
H -2.6967 -3.6070 3.2808
H 5.7031 -2.1463 0.3180
H -3.5205 2.8798 -4.0877
H -2.3581 1.8154 2.9340
H 1.4770 3.7261 -3.5010
H 1.4731 -2.1792 5.0846
H -2.6937 5.0974 -2.4067
*
```

* * * * *

DFT (ωB97M-V/def2-TZVPD) results for 15 unconnected molecules or ions with the total composition C60H141N7O31.

Geometry as XYZ:
```
239
Properties=species:S:1:pos:R:3:lowdin_charge:R:1
C -1.22 -26.98 -19.65 -0.0322
C -2.42 -27.71 -19.03 -0.4744
C -2.76 -28.95 -19.82 -0.2395
O -3.22 -28.76 -21.13 -0.1851